Material >
(1)
Calculated XRD peak list
Compound: Pm2Cu3Ni2
Radiation: λ = 1.5418 Å (Cu Kα)
Structure: a crystal structure in Alexandria, relaxed with PBE
Peak positions follow from Bragg's law for the DFT cell and can differ from measured ones.

Structural model:
```
Pm2Cu3Ni2
1.0
4.749 -2.063 0.000
4.749 2.063 0.000
-1.468 0.000 6.161
Pm Cu Ni
2 3 2
Cartesian
0.625 0.000 2.005
7.406 0.000 4.157
0.677 0.000 5.478
4.749 0.000 0.000
7.354 0.000 0.683
3.394 0.000 2.029
4.637 0.000 4.132
```

Largest 10 diffraction maxima, by intensity, 5° ≤ 2θ ≤ 70°:
| 2theta | d_spacing | I/Imax |
| --- | --- | --- |
| 35.87 | 2.504 | 100.0 |
| 41.88 | 2.157 | 60.1 |
| 28.93 | 3.086 | 52.1 |
| 43.88 | 2.063 | 50.0 |
| 36.40 | 2.468 | 41.2 |
| 36.62 | 2.454 | 39.8 |
| 43.16 | 2.096 | 24.7 |
| 38.31 | 2.349 | 21.4 |
| 44.10 | 2.054 | 21.2 |
| 39.50 | 2.282 | 15.7 |

=====

(2)
Calculated XRD peak list
Compound: KHg2H
Radiation: λ = 1.5418 Å (Cu Kα)
Structure: a crystal structure in Alexandria, relaxed with PBE
Peak positions follow from Bragg's law for the DFT cell and can differ from measured ones.

Structural model:
```
KHg2H
1.0
3.740 0.000 0.000
-1.740 5.530 0.000
-0.168 -2.163 9.772
K Hg H
2 4 2
Cartesian
0.049 1.349 1.067
1.783 2.018 8.705
-0.079 -0.430 6.927
-0.013 2.796 5.607
1.845 0.572 4.164
1.911 3.797 2.845
0.086 4.199 0.919
1.746 -0.831 8.853
```

Largest 10 diffraction maxima, by intensity, 5° ≤ 2θ ≤ 70°:
| 2theta | d_spacing | I/Imax |
| --- | --- | --- |
| 9.05 | 9.772 | 100.0 |
| 32.30 | 2.771 | 55.6 |
| 28.79 | 3.101 | 35.8 |
| 33.18 | 2.700 | 22.0 |
| 33.93 | 2.642 | 19.8 |
| 34.81 | 2.577 | 18.5 |
| 27.39 | 3.256 | 16.8 |
| 27.50 | 3.244 | 14.8 |
| 36.12 | 2.487 | 13.8 |
| 37.11 | 2.423 | 12.8 |

=====

(3)
Calculated XRD peak list
Compound: Sm2DyHoIn2
Radiation: λ = 1.5418 Å (Cu Kα)
Structure: a crystal structure in Alexandria, relaxed with PBE
Peak positions follow from Bragg's law for the DFT cell and can differ from measured ones.

Structural model:
```
Sm2DyHoIn2
1.0
5.236 0.000 0.000
0.000 9.913 0.000
0.000 0.000 6.765
Sm Dy Ho In
4 2 2 4
Cartesian
0.000 0.370 0.000
0.000 9.544 3.382
2.618 1.794 1.882
2.618 8.119 5.265
2.618 4.586 6.313
2.618 5.328 2.930
0.000 3.192 4.435
0.000 6.722 1.053
0.000 3.586 1.214
0.000 6.328 4.596
2.618 1.480 5.107
2.618 8.434 1.724
```

Largest 10 diffraction maxima, by intensity, 5° ≤ 2θ ≤ 70°:
| 2theta | d_spacing | I/Imax |
| --- | --- | --- |
| 32.03 | 2.794 | 100.0 |
| 32.79 | 2.731 | 61.9 |
| 34.25 | 2.618 | 40.4 |
| 31.49 | 2.841 | 28.0 |
| 60.37 | 1.533 | 17.3 |
| 47.60 | 1.910 | 17.2 |
| 58.04 | 1.589 | 16.5 |
| 38.07 | 2.364 | 13.5 |
| 59.94 | 1.543 | 12.2 |
| 28.08 | 3.178 | 11.3 |

=====

Record 1
The following is a simulated powder diffractogram of MgAg4Au8. It was derived from the GGA-PBE geometry in Alexandria, using a wavelength of 1.5418 Å.
No peak broadening, texture or thermal motion is included.

The 6 most intense peaks (10 to 90 degrees two-theta), by angle:
two_theta, I/Imax
29.57, 63.5
34.28, 87.1
42.31, 100.0
49.26, 41.8
66.91, 23.6
77.38, 54.9

Unit cell a=7.3996 b=7.3996 c=7.3996 alpha=60.00 beta=60.00 gamma=60.00
Sites, in units of the cell vectors:
Mg  0.0000  0.0000  0.0000
Ag  0.4025  0.4025  0.4025
Ag  0.4025  0.4025  0.7926
Ag  0.4025  0.7926  0.4025
Ag  0.7926  0.4025  0.4025
Au  0.0314  0.6562  0.6562
Au  0.1464  0.1464  0.1464
Au  0.1464  0.1464  0.5607
Au  0.1464  0.5607  0.1464
Au  0.5607  0.1464  0.1464
Au  0.6562  0.0314  0.6562
Au  0.6562  0.6562  0.0314
Au  0.6562  0.6562  0.6562

Record 2
The following is a simulated powder diffractogram of CuPbAu3. It was derived from the GGA-PBE geometry in Alexandria, using a wavelength of 1.5418 Å.
No peak broadening, texture or thermal motion is included.

The 6 most intense peaks (10 to 90 degrees two-theta), by angle:
two_theta, I/Imax
31.07, 16.0
33.22, 25.3
35.35, 100.0
46.13, 23.0
55.29, 17.3
60.74, 21.4

Unit cell a=6.6465 b=6.6465 c=5.3932 alpha=90.00 beta=90.00 gamma=120.00
Sites, in units of the cell vectors:
Brief >
Please find the line further up that holds "-0.168 -2.163", then return that line and all lines after it there.
Worked solution >
-0.168 -2.163 9.772
K Hg H
2 4 2
Cartesian
0.049 1.349 1.067
1.783 2.018 8.705
-0.079 -0.430 6.927
-0.013 2.796 5.607
1.845 0.572 4.164
1.911 3.797 2.845
0.086 4.199 0.919
1.746 -0.831 8.853
```

Largest 10 diffraction maxima, by intensity, 5° ≤ 2θ ≤ 70°:
| 2theta | d_spacing | I/Imax |
| --- | --- | --- |
| 9.05 | 9.772 | 100.0 |
| 32.30 | 2.771 | 55.6 |
| 28.79 | 3.101 | 35.8 |
| 33.18 | 2.700 | 22.0 |
| 33.93 | 2.642 | 19.8 |
| 34.81 | 2.577 | 18.5 |
| 27.39 | 3.256 | 16.8 |
| 27.50 | 3.244 | 14.8 |
| 36.12 | 2.487 | 13.8 |
| 37.11 | 2.423 | 12.8 |

=====

(3)
Calculated XRD peak list
Compound: Sm2DyHoIn2
Radiation: λ = 1.5418 Å (Cu Kα)
Structure: a crystal structure in Alexandria, relaxed with PBE
Peak positions follow from Bragg's law for the DFT cell and can differ from measured ones.

Structural model:
```
Sm2DyHoIn2
1.0
5.236 0.000 0.000
0.000 9.913 0.000
0.000 0.000 6.765
Sm Dy Ho In
4 2 2 4
Cartesian
0.000 0.370 0.000
0.000 9.544 3.382
2.618 1.794 1.882
2.618 8.119 5.265
2.618 4.586 6.313
2.618 5.328 2.930
0.000 3.192 4.435
0.000 6.722 1.053
0.000 3.586 1.214
0.000 6.328 4.596
2.618 1.480 5.107
2.618 8.434 1.724
```

Largest 10 diffraction maxima, by intensity, 5° ≤ 2θ ≤ 70°:
| 2theta | d_spacing | I/Imax |
| --- | --- | --- |
| 32.03 | 2.794 | 100.0 |
| 32.79 | 2.731 | 61.9 |
| 34.25 | 2.618 | 40.4 |
| 31.49 | 2.841 | 28.0 |
| 60.37 | 1.533 | 17.3 |
| 47.60 | 1.910 | 17.2 |
| 58.04 | 1.589 | 16.5 |
| 38.07 | 2.364 | 13.5 |
| 59.94 | 1.543 | 12.2 |
| 28.08 | 3.178 | 11.3 |

=====

Record 1
The following is a simulated powder diffractogram of MgAg4Au8. It was derived from the GGA-PBE geometry in Alexandria, using a wavelength of 1.5418 Å.
No peak broadening, texture or thermal motion is included.

The 6 most intense peaks (10 to 90 degrees two-theta), by angle:
two_theta, I/Imax
29.57, 63.5
34.28, 87.1
42.31, 100.0
49.26, 41.8
66.91, 23.6
77.38, 54.9

Unit cell a=7.3996 b=7.3996 c=7.3996 alpha=60.00 beta=60.00 gamma=60.00
Sites, in units of the cell vectors:
Mg  0.0000  0.0000  0.0000
Ag  0.4025  0.4025  0.4025
Ag  0.4025  0.4025  0.7926
Ag  0.4025  0.7926  0.4025
Ag  0.7926  0.4025  0.4025
Au  0.0314  0.6562  0.6562
Au  0.1464  0.1464  0.1464
Au  0.1464  0.1464  0.5607
Au  0.1464  0.5607  0.1464
Au  0.5607  0.1464  0.1464
Au  0.6562  0.0314  0.6562
Au  0.6562  0.6562  0.0314
Au  0.6562  0.6562  0.6562

Record 2
The following is a simulated powder diffractogram of CuPbAu3. It was derived from the GGA-PBE geometry in Alexandria, using a wavelength of 1.5418 Å.
No peak broadening, texture or thermal motion is included.

The 6 most intense peaks (10 to 90 degrees two-theta), by angle:
two_theta, I/Imax
31.07, 16.0
33.22, 25.3
35.35, 100.0
46.13, 23.0
55.29, 17.3
60.74, 21.4

Unit cell a=6.6465 b=6.6465 c=5.3932 alpha=90.00 beta=90.00 gamma=120.00
Sites, in units of the cell vectors: